- - -
Compound: ErTm4Mg2
Source: the Alexandria database
Functional: PBE
Structure: optimized geometry

Computed properties:
**Total moment**: 0.00 μB/f.u.
**Mass density**: 7.3 g/cm3
**Energy relative to the elements**: 0.036 eV per atom
**Symmetry**: Cmmm (65)
**ΔE to the lowest computed polymorph**: 0.0 meV per atom

Cell and atoms, written as extended XYZ:
```
7
Lattice="1.732 -17.135 0.000 1.732 17.135 0.000 0.000 0.000 3.419" Properties=species:S:1:pos:R:3 pbc="T T T"
Er 0.000 0.000 0.000
Tm 1.732 12.160 0.000
Tm 1.732 2.520 1.709
Tm 1.732 -2.520 1.709
Tm 1.732 -12.160 0.000
Mg 1.732 7.280 1.709
Mg 1.732 -7.280 1.709
```


(1)
# NbZnCuC2

A relaxed NbZnCuC2 crystal (GGA-PBE, the Alexandria database).

Geometry as CIF:
```
data_NbZnCuC2
_symmetry_space_group_name_H-M 'P 4/m m m'
_symmetry_Int_Tables_number 123
_symmetry_space_group_name_Hall '-P 4 2'
_cell_length_a 3.7712
_cell_length_b 3.7712
_cell_length_c 4.9269
_cell_angle_alpha 90.00
_cell_angle_beta 90.00
_cell_angle_gamma 90.00
loop_
_atom_site_label
_atom_site_fract_x
_atom_site_fract_y
_atom_site_fract_z
Nb1 0.0000 0.0000 0.0000
Zn1 0.5000 0.5000 0.0000
Cu1 0.0000 0.0000 0.5000
C1 0.0000 0.5000 0.5000
```

Calculated formation energy   1.986 eV per atom

(2)
# MoAsSe2N

A relaxed MoAsSe2N crystal (GGA-PBE, the Alexandria database).

Geometry as CIF:
```
data_MoAsSe2N
_symmetry_space_group_name_H-M 'P 4/m m m'
_symmetry_Int_Tables_number 123
_symmetry_space_group_name_Hall '-P 4 2'
_cell_length_a 5.0840
_cell_length_b 5.0840
_cell_length_c 3.7740
_cell_angle_alpha 90.00
_cell_angle_beta 90.00
_cell_angle_gamma 90.00
loop_
_atom_site_label
_atom_site_fract_x
_atom_site_fract_y
_atom_site_fract_z
- - -

Copy the whole of the material further up with every line break kept.

Compound: ErTm4Mg2
Source: the Alexandria database
Functional: PBE
Structure: optimized geometry

Computed properties:
**Total moment**: 0.00 μB/f.u.
**Mass density**: 7.3 g/cm3
**Energy relative to the elements**: 0.036 eV per atom
**Symmetry**: Cmmm (65)
**ΔE to the lowest computed polymorph**: 0.0 meV per atom

Cell and atoms, written as extended XYZ:
```
7
Lattice="1.732 -17.135 0.000 1.732 17.135 0.000 0.000 0.000 3.419" Properties=species:S:1:pos:R:3 pbc="T T T"
Er 0.000 0.000 0.000
Tm 1.732 12.160 0.000
Tm 1.732 2.520 1.709
Tm 1.732 -2.520 1.709
Tm 1.732 -12.160 0.000
Mg 1.732 7.280 1.709
Mg 1.732 -7.280 1.709
```


(1)
# NbZnCuC2

A relaxed NbZnCuC2 crystal (GGA-PBE, the Alexandria database).

Geometry as CIF:
```
data_NbZnCuC2
_symmetry_space_group_name_H-M 'P 4/m m m'
_symmetry_Int_Tables_number 123
_symmetry_space_group_name_Hall '-P 4 2'
_cell_length_a 3.7712
_cell_length_b 3.7712
_cell_length_c 4.9269
_cell_angle_alpha 90.00
_cell_angle_beta 90.00
_cell_angle_gamma 90.00
loop_
_atom_site_label
_atom_site_fract_x
_atom_site_fract_y
_atom_site_fract_z
Nb1 0.0000 0.0000 0.0000
Zn1 0.5000 0.5000 0.0000
Cu1 0.0000 0.0000 0.5000
C1 0.0000 0.5000 0.5000
```

Calculated formation energy   1.986 eV per atom

(2)
# MoAsSe2N

A relaxed MoAsSe2N crystal (GGA-PBE, the Alexandria database).

Geometry as CIF:
```
data_MoAsSe2N
_symmetry_space_group_name_H-M 'P 4/m m m'
_symmetry_Int_Tables_number 123
_symmetry_space_group_name_Hall '-P 4 2'
_cell_length_a 5.0840
_cell_length_b 5.0840
_cell_length_c 3.7740
_cell_angle_alpha 90.00
_cell_angle_beta 90.00
_cell_angle_gamma 90.00
loop_
_atom_site_label
_atom_site_fract_x
_atom_site_fract_y
_atom_site_fract_z